In 2019, I was creating an ai tool called ux-insight. It can help businesses get high quality feedback on the applications they deploy for their customers. I wrote this blog about the importance of values and as ux-insight is now a wholly owned proprietary technology used by us here at The Digital Transformation Squad, I thought it might be interesting to include the blog here. I hope you find it interesting.
It’s also available as a video and you can see it here:
To create a truly sustainable, values driven organisation, I believe it’s essential to be crystal clear on what the values are and then communicate them widely.
When we’re values driven, our thoughts, words and deeds are coherent. We must all be held to account when they’re not.
I’ve written before with some ideas to help make sure the values are sustainable and don’t end up being our “fair weather friends”.
It’s an obvious truth that we all believe many things. I certainly do. Some of them have been with me for decades, some are more transient. Some are huge conceptual beliefs, some are trivial. I believe the values of an organisation should be an anchor, there shouldn’t be a long list or a detailed check sheet. They should be big ideas that can stand the test of time and guide our actions through difficulties that we have not yet contemplated.
So what are the values of our business?
Let’s start with a list:
- Win Win
- Integrity
- Innovation
- Agility
And then dig into each a little bit deeper before pulling them all together at the end.
Win Win
Some years ago, I was preparing to take a supplier to court when my lawyer gave me a book and asked me to read it before making my final decision.
The book was called “Getting to Yes”. The authors (Fisher and Ury) had learned their craft advising in the peace settlement between the Egyptians and Israelis and they ran the negotiation skills courses at Harvard.
It urged me to see the dispute from the other party’s perspective and concentrate on generating value for all the stakeholders. They called this approach “Win Win” and it seemed to me like such an obvious thing to do, but it ran counter to the overwhelming management philosophy in the business at that time. I adopted it as my own and it has served me well.
I never went to court, we worked out a “new way”, we all got back to work and the programme got back on track.
Yes, it was a long time ago, and it was a turning point in my life that crystallised a framework for thinking about how to get things done.
And after a while, I concluded there was no point waiting for a dispute to happen before we start to systematically think about generating value for all the parties. How much better it might be if we think about that value for all the stakeholders from the very beginning and drive all activities towards its creation.
Of course it’s not trivial to find paths that generate value for all the stakeholders all the time. Sometimes it seems like the value is not really created but just transferred from one stakeholder to another. It’s pretty obvious we can call that “Win Lose” and is often accompanied by an imbalance of power or information.
In my experience, the parties on the losing side of that partnership eventually realise it and then do everything in their power to redress the balance. The tragic slow dance towards “Lose Lose” is begun.

Nature can show us the way! This Egyptian Plover get’s a meal and the crocodile gets his teeth cleaned. The trust between them looks precarious to us but consistent behaviour over a long period of time builds a strong bond. More of that later!
So our value of “Win Win” means that we systematically and explicitly aim for value to be created for all the stakeholders from our first interaction onwards.
When we act with integrity, we have no mask, there is no pretence and we reap the rewards or suffer the consequences.
Integrity is really important and we don’t challenge ourselves to be mostly honest, most of the time. Our challenge it to be completely honest, all of the time. It’s binary, not grey. If the truth could hurt us then tell it. If the truth could kill us, then tell it. It’s better to drag the issues into the sunlight to be disinfected than leave them hidden in the dark places where they can multiply.

+++
The following is a quantum chemistry calculation of 5 unconnected molecules or ions with the total composition C12H23Cl8NO5P3S at a distorted geometry, from the Open Molecules 2025 dataset.

Structure (XYZ):
```
53
Properties=species:S:1:pos:R:3:forces:R:3
H -0.3618 2.5095 -0.6546 0.1 0.0 0.2
H -7.0413 3.7454 -2.3332 0.1 -0.1 0.0
H -3.6772 1.2825 -2.4682 0.3 -0.6 0.0
P 2.3568 2.2568 -0.4582 2.1 0.3 -1.8
C 4.0977 -1.8654 3.9752 0.0 -0.1 0.1
S 2.8425 -2.5744 -1.6233 0.2 -0.2 -0.3
C -1.2858 0.9079 -1.4808 -0.8 -0.9 -0.9
Cl -0.4553 -6.4129 -2.5391 0.0 0.0 0.0
H 0.7055 -3.5510 -1.1691 -0.1 -0.1 -0.1
H 0.3216 -1.8756 -2.4495 0.2 0.0 0.0
Cl -1.3735 -3.6469 -2.7865 -0.3 -0.2 -0.1
H 3.1986 -0.4308 -0.6096 0.0 0.1 0.1
H 3.0333 2.1620 1.6099 -0.1 -0.3 0.3
Cl -6.3600 1.8991 -1.0360 -0.2 0.0 -0.3
N -0.2185 1.5717 -1.0246 0.0 0.0 -0.2
H 1.9287 3.9604 0.7842 -0.2 0.4 0.0
O 3.1416 1.6121 0.8172 -0.7 0.1 0.1
H -7.9123 3.6517 -0.7783 0.0 -0.1 0.1
P -2.9329 1.6856 -1.3500 -0.1 1.6 0.5
H 5.0629 4.5879 3.9587 -0.1 0.1 0.0
H 2.0257 -2.3474 1.3183 0.2 0.2 0.0
C 0.1791 -0.8861 -2.0411 0.1 -0.1 -0.2
C 1.1782 -2.6183 0.7033 -0.3 -0.5 0.2
H 5.0918 3.4225 2.6121 -0.1 0.0 0.0
C 1.2751 -0.2042 -1.5217 -0.2 0.4 0.0
C -6.9512 3.5643 -1.2695 0.0 0.2 0.0
C -1.7239 -5.2633 -2.1330 0.0 -0.1 0.1
O -4.6558 -0.6765 -0.2106 -0.3 0.6 -0.1
C 1.5799 -3.3524 -0.5619 -0.1 0.5 0.2
H -4.7482 2.1292 0.9316 -0.2 0.1 0.3
C 1.0363 1.0784 -1.0299 -0.4 0.0 1.3
H 2.0064 -4.3122 -0.2882 0.2 -0.1 -0.1
Cl 3.7900 -0.7844 2.6025 0.0 0.1 0.1
H 0.5760 -3.3050 1.2994 -0.1 -0.1 0.1
O 1.4230 3.4415 0.1420 -0.6 -0.5 0.4
H 3.1806 -0.3887 -2.3715 0.3 0.0 0.0
H 0.5333 -1.7640 0.5259 0.1 0.3 0.0
Cl 5.1319 5.6431 1.8598 0.0 0.0 0.0
H -1.7968 -5.1839 -1.0550 0.0 0.1 0.0
H 3.9850 -1.2967 4.8898 0.0 0.1 0.0
C 2.6669 -0.7723 -1.4911 -0.4 -0.3 0.2
C 4.6807 4.3588 2.9717 0.2 0.1 -0.1
O -4.3743 1.3469 1.3652 -0.1 0.2 -0.8
Cl 5.7223 -2.5454 3.9233 0.0 0.0 0.0
C -1.0976 -0.3481 -2.0274 0.6 0.3 0.2
H 3.3789 -2.6756 3.9408 0.0 0.0 -0.1
Cl -5.8331 4.7299 -0.5715 0.0 0.0 0.0
P -3.6279 0.4323 0.3002 0.7 -1.3 0.9
H -1.9265 -0.9149 -2.4122 -0.2 0.0 0.0
O -2.4547 -0.2172 0.8878 0.3 0.1 -0.2
H -2.6609 -5.6035 -2.5558 0.0 0.0 -0.1
Cl 2.9071 4.1946 3.0942 0.0 -0.2 0.0
H -5.5679 -0.3571 -0.2118 -0.1 -0.3 0.0
```
Positions in Å, forces in eV/Å.

Output
Net charge: +1
HOMO-LUMO gap: 7.424 eV
Calculated total energy: -163422.7286 eV

Charge distribution, Löwdin scheme, values in e: H 0.13; H 0.04; H -0.07; P 0.89; C -1.01; S 0.89; C -0.48; Cl 0.54; H -0.01; H 0.04; Cl 0.59; H 0.05; H -0.01; Cl 0.57; N 0.09; H 0.00; O -0.33; H 0.04; P 0.88; H 0.03; H 0.02; C -0.02; C -0.13; H 0.03; C -0.23; C -0.95; C -0.98; O -0.16; C -0.52; H 0.01; C -0.23; H 0.07; Cl 0.54; H 0.08; O -0.28; H 0.10; H 0.06; Cl 0.55; H 0.03; H 0.03; C -0.44; C -0.98; O -0.17; Cl 0.53; C -0.05; H 0.03; Cl 0.54; P 0.21; H 0.09; O -0.29; H 0.03; Cl 0.57; H 0.03
+++

The image above is a fractal called The Mandelbrot set. It has a couple of characteristics that make it interesting to me here. The first is that there is infinite detail in the shapes perimeter. The second is that the shapes you can see on the perimeter repeat themselves at all levels of detail. No matter how closely you look, you will always see the same fundamental characteristics. It’s my intent that our organisation is the same. There is no veneer, nothing hidden. No matter how closely you look, you will always recognise the same features.
Integrity for us, is an active thing. We don’t allow stakeholders to misunderstand because they didn’t ask the right question. And we don’t sit on information that could bring clarity. Actively, we bring it to our stakeholder’s table.
Knowing that we will always take this stance makes us think carefully about the way we operate, the projects we undertake and the commitments we make to all our stakeholders.
Of course, this high standard of integrity has ethical roots, so it’s good for our souls. And it’s also good for business
When we demonstrate these high standards consistently over long periods, then the people we deal with can predict the way we’ll behave. And they can come to trust us.
When they trust the things we say and they believe our commitment to these values, they know that we will do everything in our power to deliver the win they are hoping for. And we will do it again and again and again.
To be the winner, it’s not possible to just walk on the same beaten track as everyone else. We need to be able to think differently and to practise our skills at thinking differently. In this way, we can innovate on demand. And perhaps more importantly, we can help those around us to increase their creativity on demand too.
Systematically innovating and helping our clients to innovate is deep within our DNA. I’ve written before and at greater length about the five pillars of innovation that everyone can use to help imagine new worlds with new and exciting products and services.
Succinctly, our five pillars of innovation are:
- Smash yourself into new ideas
- Break all the rules
- Create ridiculous constraints
- Analogise
- Synthesise

Our business was born by searching for innovative ways to solve a problem that has been a recurrent theme in my business life:
How can we find out what customers believe about the product or service we supply and how can we inject their voice into the heart of our business to make those products and services even better?
When clients engage with us, they can expect that we’ll apply our skills to help them create innovative solutions for their problems and to capitalise on their opportunities. It’s in our DNA.
There are many people who talk about “Agile” as a set of tools and processes that dictate how solutions should be developed. The IT industry has somehow hijacked the word and too often the plain english meaning is forgotten.
Agility is the ability to change direction quickly because a new context demands it.
When we’re agile, we can avoid threats and capitalise on opportunities more effectively. It’s probably obvious but “weight” is an anti pattern to agility and it appears in many forms.
Once we’ve internalised that concept, almost everything else required to make us more agile can be deduced or learned quite quickly.
Work in Progress (everything created that does not yet deliver value) is a really obvious and risky example of business weight. In virtually all circumstances it’s a good idea to try and reduce it. For some people, large and growing amounts of WIP create the illusion of progress. But it’s an illusion. A team carrying their load in the wrong direction isn’t a good thing. No matter how fast they’re going, It’s a bad thing.
When we put our WIP live then the world changes, a new context is created and the value creation is crystallised. The new context and the amount of value created is either in line with our predictions or not (spoiler alert: predictions about the future are difficult and we’re often wrong).
With a new context, the likelihood that our next planned phase is still the optimum set of actions to deliver maximum value reduces, and the bigger the deployment we made, the more the optimum direction is likely to change.
Work in Progress is an important example of “weight” but it’s not the only one. A large team takes more effort to change direction than a small one. They have more weight. A large team with a high output (velocity) can be even harder to steer in a new direction. We could think of it as a problem of momentum.
A large team going really fast in the wrong direction has huge momentum. They will find it harder to turn and they will be less agile.
When we deploy, it’s essential to get feedback so we can realign our old forecast of the world with our new reality. It’s like checking the location and the compass when sailing across the pacific. Within limits, getting feedback more often is better than getting feedback less often. Until we check, the distance we’ve travelled is work in progress. When we check, it crystallises the value created and our new context. That knowledge allows us to plan the optimum next step. A team that doesn’t make conscious efforts to get feedback on the progress they’ve made, won’t know how the world is changing and won’t be able to plan their next steps optimally. They will be less agile.
A team that can’t work together effectively has more friction. Friction is the thing that stops us moving. They will be less agile.
An organisation that hasn’t really decided what it wants to do will find it more difficult to get everyone moving in the right direction. They have friction and insufficient driving force. They will be less agile.
Agility is a mindset. We must look for weight, momentum and friction. When we find them, we have to quantify the harm they may cause and the cost to reduce them. We must check that we have sufficient driving force and systematic ways to get feedback. When we do these things, we are more able to change direction quickly and we are more able to avoid danger and capitalise on opportunity. We are more agile.

A shoal of fish can change direction almost as a single organism to seek opportunities and avoid threats. They are agile.
We can google agile methods and find endless advice on scrum, sprints and many other techniques that can be extremely helpful for teams trying to deliver value quickly. We should be careful with that advice as agile communities suffer with more than their fair share of “religious wars”. Their fake certainty can distract or mislead us as we look for ways to improve our organisations.
In this section, I haven’t concentrated on the tools, tactics, systems or methodologies that try to help teams become more agile. Rather, I’ve tried to focus on the underlying philosophy that we adopt in our business to guide us when we help our clients to create more value, with more certainty, sooner.
And I haven’t even mentioned Darwin or Mintzberg! You can trust me that their thinking also underlines the importance of agility or you can give us a call and we’ll happily meet with you to kick it around!
So, “being values driven”, what does it mean?
Saying that we’re a values driven business is one of the easiest things in the world. Sticking with them through thick and thin, in the long and plentiful days of Summer as well as the cold and desperate days of Winter is much, much harder.
We encode these values into our contracting principles and we share these early on in the engagements with all our stakeholders: customers, employees, suppliers and all the people and organisations that we touch.
We talk about the values often and we share them freely. People that see the world in a similar way are drawn to them and one way or another, we like to do business with those people. Often as customers or members of our team.
As the founder of ux-insight (and one of the founders of The Digital Transformation Squad!), I can’t promise that every decision ever taken in our organisation will be in line with these values.
And I can’t promise that I’m perfect.
But I can promise that every decision that comes to me , I intend to take with these values at the core and that when I do accidentally cock it up and make a mistake, then hopefully, our organisation should be strong enough to help me get it right